Christian Life Ministries 

Statement of Faith


Creator, eternal, incapable of imperfection and perfectly all loving. Monotheistic, God is a trinity—three persons in one. God the Father, God the Son, God the Holy Spirit (Genesis 1, John 1, 3, Matthew 3, Isaiah 6,)


Created in God’s image and likeness to reverentially worship God. Unconditionally loved and invited to be in covenant relationship with God. Required by God to live obediently through faith by being fruitful (maximizing God given gifts for His glory), multiply (reproduce God’s image in the earth unendingly), rule (authoritatively have dominion on the earth and over all of creation in holy stewardship), subdue (protect and control the order of the earth, keeping it in submission to the will of God). (Genesis 1)


All thoughts, language and actions that separates one from God by being in rebellion towards God’s will. A rejection of covenant relationship with God, first beginning through the federal headship, Adam. And through Adam’s sin, reveals the inherent nature and propensity of sin that all humans possess. Sin leads to death and death everlastingly breaks covenant relationship with God, punishing humans tormentingly. Through this original sin, Adam brought forth spiritual and physical death to humankind. As well as total decay and disorder in every aspect of the earth. (Genesis 3, Romans 3, 5, 6, 8)


A spiritual enemy of God and humans who’s punished to everlasting torment by attempting to usurp the supremacy of God. Satan beguiled Adam and Eve which resulted in him being crushed by the seed of Adam and Eve, Jesus Christ. He has prince-ship in the earth influencing humans to reject God. (Genesis 3, Ezekiel 28, Isaiah 14)

Jesus Christ

The second person of the trinitarian God-head, is the begotten Son of God, sinless and born of a virgin. He is fully God and fully human. He is the redeemer of humankind, the propitiated sacrifice for sin that provides reconciliation for humankind and God. Faith in Jesus’ sacrificial death and resurrection, for humankind, which removes the penalty of sin that results in eternal damnation and death, is the only way for humankind to receive justification, new spiritual life and eternal physical life after the culmination of this world when Jesus returns. Through the redeeming work of Christ, the believer receives a new glorified physical body for eternal life. (Genesis 3, John 1, 3, 14 Titus 3)

The Holy Spirit

The third person of the triune God-head, is the person who conducts spiritual rebirth for all who confess faith in Jesus Christ. The Holy Spirit resides spiritually within the believer and through the believers surrendering of God’s will, leads and sanctifies the believer until the point of physical death. The Holy Spirit provides and carry out all spiritual gifts in the life of the believer, in which we believe all gifts of the Spirit exist for today. (John 3, 14,16, Acts 2, Galatians 5, 1 Corinthians 12)

The Church

The universal collective believers of Jesus Christ. The church are the people commissioned to make followers of Jesus Christ. Through sharing the gospel message both verbally and through lifestyle of faith and obedience to Christ, is tasked to bring hope in Christ to the world. The church is endowed with spiritual gifts and full revelation of Christ to carry out the commission. (Matthew 16, 28, Acts 2)

The Bible

The authoritative perfect Word and truth of and about God and His Will. Inspired by God through specific humans he empowered to write about Him, provides complete revelation. There is no other authoritative writing besides the Bible for humans to know God. (Hebrews 1, 2 Timothy, 2 Peter 1)

Our Ministries

***Masks are required for in person events***

Essentially United

A collective community effort to provide care packages and encouragement for Essential Workers.

Educate All Tutoring

A tutoring series geared to support and enhance school age youth with their studies.

The Couples Connection

A conglomeration of various activities that support and empower couples.

Raven Ministry

A benevolence ministry that tangibly supports villagers who are both in crisis as well as awarding and supporting villagers to continue thriving. When funding is available, allocations go towards assisting the needs of villagers who are facing hardship. As well, providing allocations to assist villagers who’re excelling too.

Holiday Store

A collaboration with Speak Life Ministries that provides tangible gifts and much more during the Christmas Season.

The Dream Club

A gathering for career training, networking, linkages, and goal setting to help career aspirations and visionaries of business and organizations thrive.



A ministry where villagers have the opportunity to participate in various events to experience the benefits of self-care.


Prosper Power Hour

A time of financial empowerment to support and inform participants about ways they can elevate financially.

The Call to Purpose

A masterclass series designed to empower and launch individuals into their life’s purpose.

Career Tour

Geared to expose young adults into various career fields by initiating tours to gain understanding of how to achieve and prosper in those career areas.



[These calculated crystals were left in the text by mistake]
........
[1]
Theoretical powder XRD pattern
Compound: LiO8
Radiation: Cu Kα (weighted mean of Kα1 and Kα2)
Structure: a DFT-relaxed cell (PBE, Alexandria)

Top 10 peaks for 2θ from 10° to 90°, in order of rising 2θ:
Position (°2θ)  I/Imax
20.15  11.6
21.29  18.4
21.98  100.0
35.44  44.2
36.59  67.6
37.59  16.7
39.93  18.2
41.07  27.4
47.84  12.6
55.67  12.6

Crystal structure
Cell lengths 5.037, 5.155, 5.163 Å; angles 118.40, 108.52, 100.09 degrees
Space group P1 (No. 1)
Inequivalent atoms, fractional coordinates:
Li 0.000 0.000 0.000 [1 per cell]
O 0.069 0.446 0.436 [1 per cell]
O 0.075 0.020 0.442 [1 per cell]
O 0.413 0.900 0.082 [1 per cell]
O 0.418 0.329 0.092 [1 per cell]
O 0.529 0.836 0.889 [1 per cell]
O 0.537 0.258 0.903 [1 per cell]
O 0.933 0.497 0.610 [1 per cell]
O 0.934 0.084 0.610 [1 per cell]

[2]
Theoretical powder XRD pattern
Compound: Li2O
Radiation: Cu Kα (weighted mean of Kα1 and Kα2)
Structure: a DFT-relaxed cell (PBE, Alexandria)

Top 10 peaks for 2θ from 10° to 90°, in order of rising 2θ:
Position (°2θ)  I/Imax
32.31  36.5
34.93  100.0
36.85  74.2
45.67  29.4
48.27  63.2
54.97  36.0
58.93  28.3
62.59  18.7
63.82  20.5
66.77  23.6

Crystal structure
Cell lengths 5.146, 3.135, 5.922 Å; angles 90.00, 90.00, 90.00 degrees
Space group Pnma (No. 62)
Inequivalent atoms, fractional coordinates:
Li 0.012 0.250 0.159 [4 per cell]
Li 0.141 0.250 0.579 [4 per cell]
O 0.245 0.750 0.399 [4 per cell]

[3]
Theoretical powder XRD pattern
Compound: LiOsO4
Radiation: Cu Kα (weighted mean of Kα1 and Kα2)
Structure: a DFT-relaxed cell (PBE, Alexandria)

Top 10 peaks for 2θ from 10° to 90°, in order of rising 2θ:
Position (°2θ)  I/Imax
16.99  100.0
25.19  79.8
30.54  90.0
32.33  18.8
36.74  21.1
43.06  47.5
53.12  13.7
54.83  23.1
56.55  15.4
59.19  15.3

Crystal structure
Cell lengths 4.593, 5.538, 10.439 Å; angles 90.00, 90.00, 90.00 degrees
Space group Pbcn (No. 60)
Inequivalent atoms, fractional coordinates:
Li 0.000 0.190 0.250 [4 per cell]
Os 0.000 0.500 0.000 [4 per cell]
O 0.206 0.495 0.646 [8 per cell]
O 0.233 0.240 0.426 [8 per cell]

* * * * *

Starting from a PBE-relaxed structure, the powder diffraction line list of Li2Nb4O11 was simulated for Cu Kα (λ = 1.5418 Å).
No peak broadening, texture or thermal motion is included.

Top 10 peaks for 10° ≤ 2θ ≤ 90°, in order of rising 2θ:
14.29°, I = 100; 16.74°, I = 27; 16.92°, I = 54; 28.81°, I = 52; 29.02°, I = 84; 29.34°, I = 41; 31.65°, I = 52; 31.95°, I = 21; 50.12°, I = 29; 58.84°, I = 25

Crystal structure
a = 11.046 Å, b = 6.281 Å, c = 12.930 Å
α = 90.00°, β = 106.53°, γ = 90.00°
Space group C2/c (No. 15)
Inequivalent atoms, fractional coordinates:
1 Li 0.106 0.249 0.060 x8
2 Nb 0.000 0.387 0.250 x4
3 Nb 0.177 0.074 0.750 x8
4 Nb 0.250 0.250 0.500 x4
5 O 0.000 0.002 0.250 x4
6 O 0.076 0.336 0.407 x8
7 O 0.119 0.370 0.749 x8
8 O 0.157 0.251 0.220 x8
9 O 0.168 0.078 0.594 x8
10 O 0.246 0.011 0.907 x8
........

To maintain a consistent atmosphere of Spirit-led, free-flowing, genuine heart expressions and connections towards God so that all are engaged and able to be filled by the spirit of God.


To take the Gospel of Jesus Christ to various communities and amongst each congregant’s sphere of influence, showing love and compassion for the lost.


To support, uplift and make palatable the unadulterated, simple truth of the gospel of Jesus Christ through teaching, preaching, bible study and small groups so that all may get understanding.


To bring the love and hand of God to the least of these' by openly serving them. 'Foot washing' and feeding, visiting. financially blessing others and sitting with the sufferer.


To provide opportunities for congregants and the community to grow educationally, health-wise, relationally, spiritually, and financially through experiences and resources made available.

Christian Life Ministries

== Records of crystals, kept here for reference ==
Entry 1:
Theoretical powder X-ray diffraction pattern of NaLiGa2Cu for λ = 1.5418 Å (Cu Kα), from a DFT-relaxed cell (PBE, Alexandria).
Peak positions follow from Bragg's law for the DFT cell and can differ from measured ones.

Structure:
```
5
Lattice="4.6465 0.0000 0.0000 0.0000 4.6465 0.0000 0.0000 0.0000 4.8725" Properties=species:S:1:pos:R:3 pbc="T T T"
Na 0.0000 0.0000 0.0000
Li 2.3233 2.3233 0.0000
Ga 0.0000 2.3233 2.4363
Ga 2.3233 0.0000 2.4363
Cu 2.3233 2.3233 2.4363
```

Peak list (12 most intense, 10 to 90 degrees two-theta, in order of falling intensity)
- 2θ = 18.21°, I = 100
- 2θ = 38.76°, I = 51
- 2θ = 43.14°, I = 43
- 2θ = 26.51°, I = 37
- 2θ = 54.58°, I = 36
- 2θ = 32.88°, I = 31
- 2θ = 36.90°, I = 29
- 2θ = 68.94°, I = 17
- 2θ = 55.97°, I = 17
- 2θ = 59.37°, I = 16
- 2θ = 47.57°, I = 14
- 2θ = 19.10°, I = 13


Entry 2:
Theoretical powder X-ray diffraction pattern of Pm2Co15Cu2 for λ = 1.5418 Å (Cu Kα), from a DFT-relaxed cell (PBE, Alexandria).
Peak positions follow from Bragg's law for the DFT cell and can differ from measured ones.

Structure:
```
19
Lattice="4.2122 2.4319 4.0326 -4.2122 2.4319 4.0326 0.0000 -4.8638 4.0326" Properties=species:S:1:pos:R:3 pbc="T T T"
Pm 0.0000 0.0000 1.8908
Pm 0.0000 0.0000 10.2071
Co -2.1061 -1.2160 4.0326
Co 0.0000 -2.4256 3.8725
Co -2.1006 1.2128 3.8725
Co -1.2035 -2.0845 6.0490
Co -2.4069 0.0000 6.0490
Co -2.1006 -1.2128 8.2254
Co -2.1061 1.2160 8.0653
Co 1.2035 -2.0845 6.0489
Co 0.0000 2.4319 4.0326
Co -1.2035 2.0845 6.0489
Co 2.1006 1.2128 3.8725
Co 2.4069 0.0000 6.0489
Co 1.2035 2.0845 6.0489
Co 2.1006 -1.2128 8.2254
Co 0.0000 2.4256 8.2254
Cu 0.0000 0.0000 4.8337
Cu 0.0000 0.0000 7.2642
```

Peak list (12 most intense, 10 to 90 degrees two-theta, in order of falling intensity)
- 2θ = 43.45°, I = 100
- 2θ = 42.94°, I = 74
- 2θ = 44.96°, I = 51
- 2θ = 36.96°, I = 44
- 2θ = 38.67°, I = 38
- 2θ = 30.69°, I = 35
- 2θ = 48.78°, I = 27
- 2θ = 44.46°, I = 23
- 2θ = 63.53°, I = 22
- 2θ = 81.88°, I = 19
- 2θ = 62.74°, I = 18
- 2θ = 78.69°, I = 18


Entry 3:
Theoretical powder X-ray diffraction pattern of NdGa2SbO8 for λ = 1.5418 Å (Cu Kα), from a DFT-relaxed cell (PBE, Alexandria).
Peak positions follow from Bragg's law for the DFT cell and can differ from measured ones.

Structure:
```
12
Lattice="-3.4367 3.4367 3.3556 3.4367 -3.4367 3.3556 3.4367 3.4367 -3.3556" Properties=species:S:1:pos:R:3 pbc="T T T"
Nd 0.0000 0.0000 0.0000
Ga 3.4367 0.0000 1.6778
Ga 0.0000 0.0000 3.3556
Sb 0.0000 3.4367 1.6778
O 2.2945 0.0000 0.2474
O 4.5789 0.0000 0.2474
O 3.4367 2.0563 -1.2836
O 3.4367 -1.1422 3.1082
O 0.0000 1.3804 2.0720
O 3.4367 1.1422 3.1082
O 2.0563 3.4367 1.2836
O 1.3804 0.0000 4.6392
```

Peak list (12 most intense, 10 to 90 degrees two-theta, in order of falling intensity)
- 2θ = 25.93°, I = 100
- 2θ = 32.42°, I = 79
- 2θ = 50.00°, I = 65
- 2θ = 36.99°, I = 22
- 2θ = 18.48°, I = 20
- 2θ = 63.80°, I = 19
- 2θ = 61.50°, I = 16
- 2θ = 53.31°, I = 15
- 2θ = 60.21°, I = 13
- 2θ = 76.10°, I = 13

2490 Lee Blvd.

Cleveland Hts., OH 44118

Suite 209


Service Times

**Unrelated to this page: records of crystals:**
-- begin --
[1]
Starting from a PBE-relaxed structure, the powder X-ray diffraction pattern of Ti3N4 was calculated for Cu Kα (λ = 1.5418 Å).
Kinematic intensities with the Lorentz-polarization factor, no thermal factor.

Largest 10 diffraction maxima, sorted by position, 2θ from 10° to 90°:
33.78 deg, d = 2.654 Å, I 100, (3 0 2); 35.41 deg, d = 2.535 Å, I 37, (2 1 0); 35.82 deg, d = 2.507 Å, I 22, (0 0 4); 36.08 deg, d = 2.490 Å, I 65, (1 1 2); 41.48 deg, d = 2.177 Å, I 34, (1 1 3); 42.57 deg, d = 2.124 Å, I 25, (4 0 2); 51.25 deg, d = 1.782 Å, I 45, (2 1 4); 58.69 deg, d = 1.573 Å, I 36, (2 1 5); 61.04 deg, d = 1.518 Å, I 32, (5 1 2); 61.57 deg, d = 1.506 Å, I 21, (0 2 0)

Atomic structure:
```
data_Ti3N4
_chemical_formula_sum 'Ti12 N16'
_cell_length_a 9.3832
_cell_length_b 3.0125
_cell_length_c 10.0272
_cell_angle_alpha 90.00
_cell_angle_beta 90.00
_cell_angle_gamma 90.00
_symmetry_space_group_name_H-M 'P n m a'
_symmetry_Int_Tables_number 62
loop_
_symmetry_equiv_pos_as_xyz
'x,y,z'
'-x,-y,-z'
'-x+1/2,-y,z+1/2'
'x+1/2,y,-z+1/2'
'x+1/2,-y+1/2,-z+1/2'
'-x+1/2,y+1/2,z+1/2'
'-x,y+1/2,-z'
'x,-y+1/2,z'
loop_
_atom_site_label
_atom_site_type_symbol
_atom_site_fract_x
_atom_site_fract_y
_atom_site_fract_z
Ti1 Ti 0.0702 0.2500 0.1249
Ti2 Ti 0.1089 0.2500 0.5931
Ti3 Ti 0.2223 0.2500 0.8563
N1 N 0.0089 0.2500 0.7744
N2 N 0.1041 0.7500 0.4673
N3 N 0.1412 0.7500 0.9838
N4 N 0.2398 0.7500 0.7142
```



[2]
Starting from a PBE-relaxed structure, the powder X-ray diffraction pattern of TiV3N was calculated for Cu Kα (λ = 1.5418 Å).
Kinematic intensities with the Lorentz-polarization factor, no thermal factor.

Largest 10 diffraction maxima, sorted by position, 2θ from 10° to 90°:
39.52 deg, d = 2.280 Å, I 92, (1 1 2); 39.94 deg, d = 2.257 Å, I 100, (3 1 -2); 41.83 deg, d = 2.160 Å, I 54, (4 0 0); 43.01 deg, d = 2.103 Å, I 54, (0 2 0); 53.14 deg, d = 1.724 Å, I 20, (2 0 -4); 61.56 deg, d = 1.507 Å, I 30, (4 2 0); 70.67 deg, d = 1.333 Å, I 16, (2 2 -4); 75.38 deg, d = 1.261 Å, I 12, (7 1 -2); 76.48 deg, d = 1.245 Å, I 11, (1 3 2); 76.76 deg, d = 1.242 Å, I 12, (3 3 -2)

Atomic structure:
```
data_TiV3N
_chemical_formula_sum 'Ti4 V12 N4'
_cell_length_a 9.2549
_cell_length_b 4.2055
_cell_length_c 6.8948
_cell_angle_alpha 90.00
_cell_angle_beta 111.03
_cell_angle_gamma 90.00
_symmetry_space_group_name_H-M 'C 1 2/m 1'
_symmetry_Int_Tables_number 12
loop_
_symmetry_equiv_pos_as_xyz
'x,y,z'
'-x,-y,-z'
'-x,y,-z'
'x,-y,z'
'x+1/2,y+1/2,z'
'-x+1/2,-y+1/2,-z'
'-x+1/2,y+1/2,-z'
'x+1/2,-y+1/2,z'
loop_
_atom_site_label
_atom_site_type_symbol
_atom_site_fract_x
_atom_site_fract_y
_atom_site_fract_z
Ti1 Ti 0.1364 0.0000 0.1983
V1 V 0.1050 0.5000 0.4027
V2 V 0.1277 0.0000 0.6848
V3 V 0.1278 0.5000 0.9732
N1 N 0.1254 0.5000 0.6907
```



[3]
Starting from a PBE-relaxed structure, the powder X-ray diffraction pattern of YTi2N was calculated for Cu Kα (λ = 1.5418 Å).
Kinematic intensities with the Lorentz-polarization factor, no thermal factor.
-- stop --

Village Life Worship Hour

Sunday @ 10:30 AM

Village Bible Study

Tuesday’s @ 6:30 PM

Voice to Voice Men’s Gathering

Every Other Thursday @ 6:30 PM

Our Leaders

Pastor Charles Dickerson

Lady Sermonte Dickerson